### Material
____________
Compound: Ba3Cr2O6
Source: Alexandria
Functional: PBE+U
Structure: optimized geometry

Computed properties:
total magnetic moment = 0.545 μB per atom
total energy = -6.872 eV per atom
N(E_F) = 1.12 states/eV/cell
theoretical density = 5.72 g cm⁻³
volume = 16.16 Å³ per atom

Lattice parameters (Å, degrees): 4.0559 4.0559 21.6142 90.00 90.00 90.00
Space group I4/mmm (No. 139)
Symmetry-distinct sites (fractional):
Ba: 0.0000 0.0000 0.0000 [2 per cell]
Ba: 0.0000 0.0000 0.1814 [4 per cell]
Cr: 0.0000 0.0000 0.3969 [4 per cell]
O: 0.0000 0.0000 0.3082 [4 per cell]
O: 0.0000 0.5000 0.0877 [8 per cell]

----------

{"formula": "LiLa3Fe", "functional": "meta-GGA SCAN", "state": "PBEsol geometry", "lattice": [[-4.5402, 1.9854, 1.7979], [-1.8970, -4.8815, 0.6003], [1.8910, -0.1300, 4.9188]], "species": ["Li", "Fe", "La", "La", "La"], "fractional_positions": [[0.5000, 0.5000, 0.5000], [0.0000, 0.0000, 0.0000], [0.0000, 0.5000, 0.0000], [0.0000, 0.0000, 0.5000], [0.5000, 0.0000, 0.0000]], "formation_energy_ev_per_atom": 0.118}

=====

{"formula": "Li2LaFe", "functional": "meta-GGA SCAN", "state": "PBEsol geometry", "lattice": [[-0.2259, 0.4623, 3.0252], [-2.8954, -1.0145, -0.0611], [2.5706, -7.4163, 1.3252]], "species": ["Fe", "La", "Li", "Li"], "fractional_positions": [[0.5000, 0.5000, 0.0000], [0.5000, 0.5000, 0.5000], [0.0000, 0.0000, 0.8173], [0.0000, 0.0000, 0.1827]], "e_above_lowest_polymorph_ev_per_atom": 0.147, "formation_energy_ev_per_atom": 0.416}

=====

{"formula": "Li2LaFe", "functional": "meta-GGA SCAN", "state": "PBEsol geometry", "lattice": [[-1.6504, -2.3602, 1.5601], [3.7542, -2.1836, 0.6680], [-0.3935, 4.7756, 3.3700]], "species": ["Fe", "La", "Li", "Li"], "fractional_positions": [[0.0000, 0.5000, 0.0000], [0.5000, 0.0000, 0.0000], [0.7183, 0.7183, 0.4365], [0.2817, 0.2817, 0.5635]], "e_above_lowest_polymorph_ev_per_atom": 0.000, "formation_energy_ev_per_atom": 0.269}

=====
____________
### Job
The reader should duplicate the whole of the entries further up unchanged.
### Here it is
Compound: Ba3Cr2O6
Source: Alexandria
Functional: PBE+U
Structure: optimized geometry

Computed properties:
total magnetic moment = 0.545 μB per atom
total energy = -6.872 eV per atom
N(E_F) = 1.12 states/eV/cell
theoretical density = 5.72 g cm⁻³
volume = 16.16 Å³ per atom

Lattice parameters (Å, degrees): 4.0559 4.0559 21.6142 90.00 90.00 90.00
Space group I4/mmm (No. 139)
Symmetry-distinct sites (fractional):
Ba: 0.0000 0.0000 0.0000 [2 per cell]
Ba: 0.0000 0.0000 0.1814 [4 per cell]
Cr: 0.0000 0.0000 0.3969 [4 per cell]
O: 0.0000 0.0000 0.3082 [4 per cell]
O: 0.0000 0.5000 0.0877 [8 per cell]

----------

{"formula": "LiLa3Fe", "functional": "meta-GGA SCAN", "state": "PBEsol geometry", "lattice": [[-4.5402, 1.9854, 1.7979], [-1.8970, -4.8815, 0.6003], [1.8910, -0.1300, 4.9188]], "species": ["Li", "Fe", "La", "La", "La"], "fractional_positions": [[0.5000, 0.5000, 0.5000], [0.0000, 0.0000, 0.0000], [0.0000, 0.5000, 0.0000], [0.0000, 0.0000, 0.5000], [0.5000, 0.0000, 0.0000]], "formation_energy_ev_per_atom": 0.118}

=====

{"formula": "Li2LaFe", "functional": "meta-GGA SCAN", "state": "PBEsol geometry", "lattice": [[-0.2259, 0.4623, 3.0252], [-2.8954, -1.0145, -0.0611], [2.5706, -7.4163, 1.3252]], "species": ["Fe", "La", "Li", "Li"], "fractional_positions": [[0.5000, 0.5000, 0.0000], [0.5000, 0.5000, 0.5000], [0.0000, 0.0000, 0.8173], [0.0000, 0.0000, 0.1827]], "e_above_lowest_polymorph_ev_per_atom": 0.147, "formation_energy_ev_per_atom": 0.416}

=====

{"formula": "Li2LaFe", "functional": "meta-GGA SCAN", "state": "PBEsol geometry", "lattice": [[-1.6504, -2.3602, 1.5601], [3.7542, -2.1836, 0.6680], [-0.3935, 4.7756, 3.3700]], "species": ["Fe", "La", "Li", "Li"], "fractional_positions": [[0.0000, 0.5000, 0.0000], [0.5000, 0.0000, 0.0000], [0.7183, 0.7183, 0.4365], [0.2817, 0.2817, 0.5635]], "e_above_lowest_polymorph_ev_per_atom": 0.000, "formation_energy_ev_per_atom": 0.269}

=====